Monday, November 19, 2007
Data records, as found in the file:
{
  "formula": "C30H25ClLaN4O3SSeTe",
  "method": "ωB97M-V/def2-TZVPD",
  "charge": 1,
  "homo_ev": -10.575,
  "symbols": ["La", "Te", "Se", "Cl", "S", "O", "O", "O", "N", "N", "N", "N", "C", "C", "C", "C", "C", "C", "C", "C", "C", "C", "C", "C", "C", "C", "C", "C", "C", "C", "C", "C", "C", "C", "C", "C", "C", "C", "C", "C", "C", "C", "H", "H", "H", "H", "H", "H", "H", "H", "H", "H", "H", "H", "H", "H", "H", "H", "H", "H", "H", "H", "H", "H", "H", "H", "H"],
  "positions_angstrom": [[0.4522, 0.7414, -0.7180], [1.2503, -0.3823, 2.5705], [-3.1831, 1.7756, 1.7182], [0.2055, 4.4535, -4.2408], [1.5818, -3.9615, 0.7765], [2.8086, -4.5868, 1.1328], [0.8849, -3.1566, 1.8135], [0.6860, -4.7167, -0.0448], [-1.9008, 1.0321, 0.7434], [-4.1287, 0.2580, 1.8541], [-1.5220, -1.1057, -0.2168], [2.3572, 0.8602, -2.7304], [-3.2531, -2.7730, 0.0657], [-3.5035, -0.6110, 1.1362], [-1.1831, -1.5223, 3.6339], [0.5739, 2.5606, 1.7148], [-0.2513, -0.0032, 5.2648], [1.9929, 3.8242, 0.2466], [-1.9465, -2.1392, 4.6045], [-0.6864, 2.7329, -1.8255], [3.2452, -1.8347, -0.2494], [-2.3106, -0.2065, 0.5019], [0.8256, 3.7066, 0.9587], [3.3759, -0.6756, -1.0408], [-0.2038, 2.1177, -5.5041], [2.9024, 2.7569, 0.2312], [1.4103, -2.4979, -1.5921], [1.5396, 1.5732, 1.8313], [-1.0489, 0.7907, -3.2764], [1.5540, -1.3594, -2.3744], [-3.9656, -1.9494, 0.8969], [-0.2044, 2.7911, -4.3273], [-1.0287, -0.6290, 6.2139], [-0.3325, -0.4885, 3.9681], [-0.6573, 2.1404, -3.1302], [-2.0194, -2.2660, -0.4281], [-1.8937, -1.6715, 5.9009], [-1.0894, 0.1622, -4.5087], [2.7330, 1.6703, 1.1061], [2.5278, -0.4166, -2.1373], [2.1225, -2.6712, -0.4033], [-0.7132, 0.8234, -5.6521], [0.5591, -3.1229, -1.7459], [-4.8869, -2.3037, 1.3264], [-0.3239, 2.4787, 2.3420], [-1.1228, -1.9791, 2.6612], [-0.6386, 0.3373, -6.6050], [-1.4070, -0.8849, -4.5940], [-1.6024, 0.2227, -2.5237], [-0.2844, 3.7671, -1.7803], [3.8465, 2.9666, -0.2831], [3.1640, 1.4687, -2.7548], [-3.5808, -3.6991, -0.3229], [-2.5671, -2.9488, 4.3063], [-1.6860, 2.6525, -1.4305], [4.1567, -0.0186, -0.7292], [2.2559, 4.7598, -0.2959], [-2.4108, -2.1900, 6.6693], [3.9217, -1.9560, 0.6013], [0.5056, 0.7671, 5.4421], [0.0850, 4.5420, 1.0314], [3.4789, 0.8750, 1.2121], [0.1699, 2.7162, -6.3351], [1.8754, 0.8891, -3.6149], [0.9040, -1.2160, -3.2551], [-1.4580, -2.9537, -1.0631], [-0.9572, -0.3168, 7.2574]],
  "nbo_charge": [1.8093, 0.7905, 1.0499, 0.0393, 2.4505, -0.9551, -1.0383, -1.0017, -0.7207, -0.5315, -0.5404, -0.8641, -0.2415, 0.1128, -0.2592, -0.3002, -0.2216, -0.1497, -0.1789, -1.0091, -0.1438, 0.2764, -0.1749, -0.2930, -0.1969, -0.2386, -0.1468, -0.3455, -0.4083, -0.3725, -0.1161, -0.1145, -0.1948, -0.2766, 0.0813, 0.1742, -0.1839, -0.1726, -0.2930, 0.1283, -0.2992, -0.2386, 0.2489, 0.2487, 0.2419, 0.2355, 0.2358, 0.2236, 0.2183, 0.2429, 0.2444, 0.4135, 0.2527, 0.2218, 0.2328, 0.2306, 0.2428, 0.2278, 0.2546, 0.2277, 0.2475, 0.2518, 0.2383, 0.4212, 0.2517, 0.2253, 0.2291]
}

---

{
  "formula": "C30H25F5",
  "method": "ωB97M-V/def2-TZVPD",

The Patriot Act

During the debate it was hard to get all of my opinions in so I feel this is a good chance to do that. First, I think that the patriot act is necessary to a point. It is clear that we need protection from terrorism and if this is a way of stopping them and saving lives then by all means it should be enacted. Since the attack of September 11th has shown us how crazy these extremists can be and how they want to kill Americans, we see how dangerous they are. If they accomplished killing that many Americans who knows what they can do if we lack in protecting ourselves. The patriot act can help stop these attacks before they even begin so that no one will get hurt. What I heard a lot in the debate that I found weird was that people kept saying it was “prejudice” to tap phone lines. First, this makes absolutely no sense because it is tapping EVERYONE’S phone lines not just on specific group of people, or as many people accused, the Islamic population. This is not unfair because it is happening to everyone and if the Muslim people specifically have a problem with it there is nothing we can do. Also, if Muslim people are getting upset about being checked more carefully, there is nothing we can do to prevent that because you have to give up some of your freedoms in order to truly be free and freedom is safety because without safety there is no need for freedom. For example, when I am at an airport and I am standing in line next to a Muslim man they are more likely going to check him then me because it is the Muslim extremists who are committing this terrorist attacks. This is just like in World War II when the Japanese were sent to internment camps because the government found that spies on Pearl Harbor had played into the attack and that without these spies it would not have been possible. So, because of this fear the government put the Japanese Americans in internment camps. Yes, this is unfair and harsh, but it is important to protect our safety. I am not saying that we should protect our safety at all costs because I defiantly do not think we should turn into a dictatorship if that would keep us safe, but that we can all allow subtle changes in order to better the country as a whole. So the patriot act can keep us safe in many situations, but it is important not to take this too far and not to use it for things that are not directly related to terrorism and mass destruction, it should not be used to stop drug trafficking or any other crime except mass destruction and terrorism.